-- Entries --
+++
(1)
This entry pairs a crystal structure of ZnCuN with its theoretical powder diffraction line list. Radiation: copper Kα. Structure: a crystal structure in the Materials Project, relaxed with PBE.

```
data_ZnCuN
_chemical_formula_sum 'Zn1 Cu1 N1'
_symmetry_space_group_name_H-M 'P 1'
_symmetry_Int_Tables_number 1
_symmetry_space_group_name_Hall 'P 1'
_cell_length_a 3.742
_cell_length_b 3.604
_cell_length_c 3.604
_cell_angle_alpha 55.79
_cell_angle_beta 90.00
_cell_angle_gamma 90.00
loop_
_atom_site_label
_atom_site_type_symbol
_atom_site_fract_x
_atom_site_fract_y
_atom_site_fract_z
Zn1 Zn 0.000 0.000 0.000
Cu1 Cu 0.500 0.304 0.304
N1 N 0.500 0.991 0.991
```

The 10 most intense peaks (2θ from 10° to 90°), most intense first:
38.62 deg, intensity 100
37.06 deg, intensity 76
29.98 deg, intensity 75
50.81 deg, intensity 44
48.67 deg, intensity 27
73.00 deg, intensity 26
67.67 deg, intensity 24
58.23 deg, intensity 20
54.41 deg, intensity 19
28.01 deg, intensity 17

---

(2)
This entry pairs a crystal structure of Sr2YCu2Bi2O8 with its theoretical powder diffraction line list. Radiation: copper Kα. Structure: a crystal structure in the Materials Project, relaxed with PBE.

```
data_Sr2YCu2Bi2O8
_chemical_formula_sum 'Sr2 Y1 Cu2 Bi2 O8'
_symmetry_space_group_name_H-M 'P 1'
_symmetry_Int_Tables_number 1
_symmetry_space_group_name_Hall 'P 1'
_cell_length_a 15.600
_cell_length_b 15.600
_cell_length_c 15.600
_cell_angle_alpha 166.00
_cell_angle_beta 166.00
_cell_angle_gamma 19.84
loop_
_atom_site_label
_atom_site_type_symbol
_atom_site_fract_x
_atom_site_fract_y
_atom_site_fract_z
Sr1 Sr 0.113 0.113 0.000
Sr2 Sr 0.887 0.887 0.000
Y1 Y 0.000 0.000 0.000
Cu1 Cu 0.449 0.449 0.000
Cu2 Cu 0.551 0.551 0.000
Bi1 Bi 0.297 0.297 0.000
Bi2 Bi 0.703 0.703 0.000
O1 O 0.048 0.548 0.500
O2 O 0.201 0.201 0.000
O3 O 0.366 0.366 0.000
O4 O 0.452 0.952 0.500
O5 O 0.548 0.048 0.500
O6 O 0.634 0.634 0.000
O7 O 0.799 0.799 0.000
O8 O 0.952 0.452 0.500
```

The 10 most intense peaks (2θ from 10° to 90°), most intense first:
33.33 deg, intensity 100
31.12 deg, intensity 100
27.59 deg, intensity 86
47.86 deg, intensity 47
44.80 deg, intensity 40
58.20 deg, intensity 36
24.99 deg, intensity 34
56.14 deg, intensity 26
49.14 deg, intensity 26
35.04 deg, intensity 25

---

(3)
This entry pairs a crystal structure of LiC2O5 with its theoretical powder diffraction line list. Radiation: copper Kα. Structure: a crystal structure in the Materials Project, relaxed with PBE.

```
data_LiC2O5
_chemical_formula_sum 'Li1 C2 O5'
_symmetry_space_group_name_H-M 'P 1'
_symmetry_Int_Tables_number 1
_symmetry_space_group_name_Hall 'P 1'
_cell_length_a 3.675
_cell_length_b 5.951
_cell_length_c 6.889
_cell_angle_alpha 72.99
_cell_angle_beta 84.35
_cell_angle_gamma 86.33
loop_
_atom_site_label
_atom_site_type_symbol
_atom_site_fract_x
_atom_site_fract_y
_atom_site_fract_z
Li1 Li 0.000 0.000 0.000
C1 C 0.026 0.151 0.427
C2 C 0.621 0.556 0.642
O1 O 0.127 0.083 0.591
O2 O 0.483 0.644 0.489
O3 O 0.505 0.957 0.995
O4 O 0.762 0.466 0.793
O5 O 0.922 0.220 0.263
```

The 10 most intense peaks (2θ from 10° to 90°), most intense first:
31.50 deg, intensity 100
30.44 deg, intensity 97
28.54 deg, intensity 91
13.49 deg, intensity 60
23.46 deg, intensity 34
27.17 deg, intensity 34
34.48 deg, intensity 26
15.58 deg, intensity 20
35.30 deg, intensity 19
35.19 deg, intensity 16

---

(4)
This entry pairs a crystal structure of BaMg14Mn with its theoretical powder diffraction line list. Radiation: copper Kα. Structure: a crystal structure in the Materials Project, relaxed with PBE.

```
data_BaMg14Mn
_chemical_formula_sum 'Ba1 Mg14 Mn1'
_symmetry_space_group_name_H-M 'P 1'
_symmetry_Int_Tables_number 1
_symmetry_space_group_name_Hall 'P 1'
_cell_length_a 6.592
_cell_length_b 6.592
_cell_length_c 10.498
_cell_angle_alpha 90.00
_cell_angle_beta 90.00
_cell_angle_gamma 120.00
loop_
_atom_site_label
_atom_site_type_symbol
_atom_site_fract_x
_atom_site_fract_y
_atom_site_fract_z
+++

-- Wanted --
Next, start at the top of the material further above and quote each line, ending with the one that has "28.54 deg,".

-- Response --
(1)
This entry pairs a crystal structure of ZnCuN with its theoretical powder diffraction line list. Radiation: copper Kα. Structure: a crystal structure in the Materials Project, relaxed with PBE.

```
data_ZnCuN
_chemical_formula_sum 'Zn1 Cu1 N1'
_symmetry_space_group_name_H-M 'P 1'
_symmetry_Int_Tables_number 1
_symmetry_space_group_name_Hall 'P 1'
_cell_length_a 3.742
_cell_length_b 3.604
_cell_length_c 3.604
_cell_angle_alpha 55.79
_cell_angle_beta 90.00
_cell_angle_gamma 90.00
loop_
_atom_site_label
_atom_site_type_symbol
_atom_site_fract_x
_atom_site_fract_y
_atom_site_fract_z
Zn1 Zn 0.000 0.000 0.000
Cu1 Cu 0.500 0.304 0.304
N1 N 0.500 0.991 0.991
```

The 10 most intense peaks (2θ from 10° to 90°), most intense first:
38.62 deg, intensity 100
37.06 deg, intensity 76
29.98 deg, intensity 75
50.81 deg, intensity 44
48.67 deg, intensity 27
73.00 deg, intensity 26
67.67 deg, intensity 24
58.23 deg, intensity 20
54.41 deg, intensity 19
28.01 deg, intensity 17

---

(2)
This entry pairs a crystal structure of Sr2YCu2Bi2O8 with its theoretical powder diffraction line list. Radiation: copper Kα. Structure: a crystal structure in the Materials Project, relaxed with PBE.

```
data_Sr2YCu2Bi2O8
_chemical_formula_sum 'Sr2 Y1 Cu2 Bi2 O8'
_symmetry_space_group_name_H-M 'P 1'
_symmetry_Int_Tables_number 1
_symmetry_space_group_name_Hall 'P 1'
_cell_length_a 15.600
_cell_length_b 15.600
_cell_length_c 15.600
_cell_angle_alpha 166.00
_cell_angle_beta 166.00
_cell_angle_gamma 19.84
loop_
_atom_site_label
_atom_site_type_symbol
_atom_site_fract_x
_atom_site_fract_y
_atom_site_fract_z
Sr1 Sr 0.113 0.113 0.000
Sr2 Sr 0.887 0.887 0.000
Y1 Y 0.000 0.000 0.000
Cu1 Cu 0.449 0.449 0.000
Cu2 Cu 0.551 0.551 0.000
Bi1 Bi 0.297 0.297 0.000
Bi2 Bi 0.703 0.703 0.000
O1 O 0.048 0.548 0.500
O2 O 0.201 0.201 0.000
O3 O 0.366 0.366 0.000
O4 O 0.452 0.952 0.500
O5 O 0.548 0.048 0.500
O6 O 0.634 0.634 0.000
O7 O 0.799 0.799 0.000
O8 O 0.952 0.452 0.500
```

The 10 most intense peaks (2θ from 10° to 90°), most intense first:
33.33 deg, intensity 100
31.12 deg, intensity 100
27.59 deg, intensity 86
47.86 deg, intensity 47
44.80 deg, intensity 40
58.20 deg, intensity 36
24.99 deg, intensity 34
56.14 deg, intensity 26
49.14 deg, intensity 26
35.04 deg, intensity 25

---

(3)
This entry pairs a crystal structure of LiC2O5 with its theoretical powder diffraction line list. Radiation: copper Kα. Structure: a crystal structure in the Materials Project, relaxed with PBE.

```
data_LiC2O5
_chemical_formula_sum 'Li1 C2 O5'
_symmetry_space_group_name_H-M 'P 1'
_symmetry_Int_Tables_number 1
_symmetry_space_group_name_Hall 'P 1'
_cell_length_a 3.675
_cell_length_b 5.951
_cell_length_c 6.889
_cell_angle_alpha 72.99
_cell_angle_beta 84.35
_cell_angle_gamma 86.33
loop_
_atom_site_label
_atom_site_type_symbol
_atom_site_fract_x
_atom_site_fract_y
_atom_site_fract_z
Li1 Li 0.000 0.000 0.000
C1 C 0.026 0.151 0.427
C2 C 0.621 0.556 0.642
O1 O 0.127 0.083 0.591
O2 O 0.483 0.644 0.489
O3 O 0.505 0.957 0.995
O4 O 0.762 0.466 0.793
O5 O 0.922 0.220 0.263
```

The 10 most intense peaks (2θ from 10° to 90°), most intense first:
31.50 deg, intensity 100
30.44 deg, intensity 97
28.54 deg, intensity 91